(Material)
=====
{"formula": "C5H7NO", "method": "ωB97M-V with the def2-TZVPD basis set", "homo_energy_ev": -7.93, "smiles": "[H]/N=C/[C@@]1(C)OC1=C", "e_above_lowest_kj_mol": 478.38, "lumo_ev": 0.756, "energy_ev": -8831.2448, "homo_lumo_gap_ev": 8.7, "molar_mass_g_mol": 97.1, "charge": 0, "elements": ["O", "N", "C", "C", "C", "C", "C", "H", "H", "H", "H", "H", "H", "H"], "positions_angstrom": [[0.1732, 0.7245, 1.0890], [0.9459, -1.6508, 0.0387], [-0.6751, -0.0392, 0.1775], [-0.3314, -1.4041, 0.1160], [-1.9522, 0.6335, -0.1614], [2.1934, 1.0349, -0.2759], [1.1074, 0.4943, 0.2265], [-2.6154, -0.0633, -0.6770], [-2.4546, 1.0039, 0.7394], [2.7860, 0.4874, -0.9919], [1.2249, -2.5672, 0.4007], [2.4850, 2.0396, 0.0113], [-1.7894, 1.4879, -0.8240], [-1.0976, -2.1816, 0.1312]], "forces_ev_per_a": [[0.0, -0.1, -0.2], [-0.1, 0.2, 0.1], [0.5, 0.1, 0.0], [0.2, 0.0, 0.0], [0.0, 0.1, 0.0], [0.0, -0.1, 0.0], [-0.4, -0.1, 0.1], [0.0, 0.0, 0.0], [0.0, 0.0, 0.0], [-0.1, 0.0, 0.0], [-0.1, 0.1, -0.1], [0.0, -0.1, 0.0], [0.0, -0.1, 0.0], [0.1, 0.0, 0.0]], "mulliken_charge": [-0.324, -0.474, 0.538, -0.302, -1.157, -0.896, 0.548, 0.355, 0.275, 0.270, 0.202, 0.281, 0.288, 0.397]}

=====

Entry 1:
# C17H25CoN4O9P2

A structure of composition C17H25CoN4O9P2 in a non-equilibrium geometry (ωB97M-V/def2-TZVPD, the Open Molecules 2025 dataset).

Values from the calculation:
**Expectation value of S²**: 6.03
**E_LUMO (spin up / spin down)**: -8.01 / -9.92 eV
**HOMO-LUMO gap (spin up / spin down)**: 7.16 / 5.71 eV

ORCA input file:
```
! RIJCOSX wB97M-V def2-TZVPD def2/J DEFGRID3
* xyz 2 5
Co 0.072 0.943 -0.087
P -2.062 0.718 -0.439
C -2.181 1.411 -2.121
C -0.814 1.572 -2.754
N 0.254 1.419 -1.940
C 1.502 1.705 -2.373
C 1.704 2.210 -3.651
C 0.620 2.365 -4.506
C -0.646 1.975 -4.078
C 2.642 1.385 -1.427
P 2.132 -0.136 -0.489
H -1.523 1.998 -4.737
H 2.718 2.450 -3.933
H 0.765 2.805 -5.480
H 3.548 1.161 -2.001
H 2.829 2.180 -0.688
H -2.876 0.816 -2.712
H -2.594 2.442 -2.021
H -0.843 -2.536 -4.966
O -1.438 -3.258 -5.230
H -2.223 -3.113 -4.661
H 0.645 -3.923 -1.082
O 0.139 -3.985 -0.282
H -0.523 -4.698 -0.451
C 2.930 -1.329 -1.629
H 3.824 -0.866 -2.069
H 3.257 -2.223 -1.081
H 2.262 -1.615 -2.449
C 3.172 -0.410 0.966
H 2.629 -1.111 1.618
H 4.115 -0.868 0.643
H 3.335 0.537 1.487
C -3.161 1.883 0.394
H -4.077 1.976 -0.209
H -3.360 1.506 1.402
H -2.631 2.844 0.415
C -2.764 -0.924 -0.187
H -2.873 -1.050 0.903
H -3.735 -1.019 -0.691
H -2.065 -1.692 -0.548
O 0.823 1.201 7.636
N 1.253 1.862 6.667
O 2.098 2.771 6.792
C 0.772 1.540 5.349
C -0.179 0.515 5.203
C -0.668 0.228 3.944
C -0.097 0.835 2.772
O -0.312 0.258 1.630
C 0.795 1.954 2.967
C 1.253 2.261 4.248
N 1.334 2.730 1.877
O 2.318 3.455 2.086
O 0.774 2.701 0.713
N -1.751 -0.743 3.744
O -1.713 -1.800 4.387
O -2.693 -0.414 2.994
H -0.537 -0.039 6.070
H 1.983 3.057 4.372
*
```

Löwdin atomic charge list, values in e, 8 entries: 0.5118, 0.8907, -0.2219, -0.2689, -0.0367, -0.2894, 0.0270, 0.0196

***

Entry 2:
# C4H28NO11S

A cluster of 10 separate species, C4H28NO11S in total in a non-equilibrium geometry (ωB97M-V/def2-TZVPD, the Open Molecules 2025 dataset).

Values from the calculation:
**ΔE to the lowest compared entry with this formula, charge and spin**: 0.0 kcal per mole
**E_LUMO**: -2.42 eV
**HOMO-LUMO gap**: 9.48 eV

ORCA input file:
```
! RIJCOSX wB97M-V def2-TZVPD def2/J DEFGRID3
* xyz 1 1
O -0.613 -2.494 1.617
C -0.095 -1.495 1.229
O 1.204 -1.216 1.420
C -0.562 -0.398 0.284
C -1.187 0.690 1.138
C -1.889 1.852 0.438
S -3.270 1.123 -0.515
N 0.571 0.204 -0.495
H 1.695 -1.287 2.266
H -1.205 -0.762 -0.516
H -0.513 1.061 1.911
H -1.908 0.170 1.773
H -2.267 2.506 1.220
H -1.237 2.422 -0.223
H -3.954 2.257 -0.745
H 1.163 0.805 0.068
H 0.337 0.638 -1.397
H 1.157 -0.604 -0.773
H 3.362 -1.100 3.885
H 3.456 0.232 3.082
O 2.858 -0.464 3.367
H -1.815 -1.041 -2.949
H -1.817 -2.599 -2.697
O -1.271 -1.827 -2.877
H 2.445 3.091 -0.705
H 2.295 2.821 -2.155
O 2.093 2.417 -1.303
H -3.646 -2.259 -0.750
H -4.448 -2.023 -2.185
O -3.648 -2.226 -1.706
=====

(To do)
Could you give back the listing further above verbatim?

(Worked solution)
{"formula": "C5H7NO", "method": "ωB97M-V with the def2-TZVPD basis set", "homo_energy_ev": -7.93, "smiles": "[H]/N=C/[C@@]1(C)OC1=C", "e_above_lowest_kj_mol": 478.38, "lumo_ev": 0.756, "energy_ev": -8831.2448, "homo_lumo_gap_ev": 8.7, "molar_mass_g_mol": 97.1, "charge": 0, "elements": ["O", "N", "C", "C", "C", "C", "C", "H", "H", "H", "H", "H", "H", "H"], "positions_angstrom": [[0.1732, 0.7245, 1.0890], [0.9459, -1.6508, 0.0387], [-0.6751, -0.0392, 0.1775], [-0.3314, -1.4041, 0.1160], [-1.9522, 0.6335, -0.1614], [2.1934, 1.0349, -0.2759], [1.1074, 0.4943, 0.2265], [-2.6154, -0.0633, -0.6770], [-2.4546, 1.0039, 0.7394], [2.7860, 0.4874, -0.9919], [1.2249, -2.5672, 0.4007], [2.4850, 2.0396, 0.0113], [-1.7894, 1.4879, -0.8240], [-1.0976, -2.1816, 0.1312]], "forces_ev_per_a": [[0.0, -0.1, -0.2], [-0.1, 0.2, 0.1], [0.5, 0.1, 0.0], [0.2, 0.0, 0.0], [0.0, 0.1, 0.0], [0.0, -0.1, 0.0], [-0.4, -0.1, 0.1], [0.0, 0.0, 0.0], [0.0, 0.0, 0.0], [-0.1, 0.0, 0.0], [-0.1, 0.1, -0.1], [0.0, -0.1, 0.0], [0.0, -0.1, 0.0], [0.1, 0.0, 0.0]], "mulliken_charge": [-0.324, -0.474, 0.538, -0.302, -1.157, -0.896, 0.548, 0.355, 0.275, 0.270, 0.202, 0.281, 0.288, 0.397]}

=====

Entry 1:
# C17H25CoN4O9P2

A structure of composition C17H25CoN4O9P2 in a non-equilibrium geometry (ωB97M-V/def2-TZVPD, the Open Molecules 2025 dataset).

Values from the calculation:
**Expectation value of S²**: 6.03
**E_LUMO (spin up / spin down)**: -8.01 / -9.92 eV
**HOMO-LUMO gap (spin up / spin down)**: 7.16 / 5.71 eV

ORCA input file:
```
! RIJCOSX wB97M-V def2-TZVPD def2/J DEFGRID3
* xyz 2 5
Co 0.072 0.943 -0.087
P -2.062 0.718 -0.439
C -2.181 1.411 -2.121
C -0.814 1.572 -2.754
N 0.254 1.419 -1.940
C 1.502 1.705 -2.373
C 1.704 2.210 -3.651
C 0.620 2.365 -4.506
C -0.646 1.975 -4.078
C 2.642 1.385 -1.427
P 2.132 -0.136 -0.489
H -1.523 1.998 -4.737
H 2.718 2.450 -3.933
H 0.765 2.805 -5.480
H 3.548 1.161 -2.001
H 2.829 2.180 -0.688
H -2.876 0.816 -2.712
H -2.594 2.442 -2.021
H -0.843 -2.536 -4.966
O -1.438 -3.258 -5.230
H -2.223 -3.113 -4.661
H 0.645 -3.923 -1.082
O 0.139 -3.985 -0.282
H -0.523 -4.698 -0.451
C 2.930 -1.329 -1.629
H 3.824 -0.866 -2.069
H 3.257 -2.223 -1.081
H 2.262 -1.615 -2.449
C 3.172 -0.410 0.966
H 2.629 -1.111 1.618
H 4.115 -0.868 0.643
H 3.335 0.537 1.487
C -3.161 1.883 0.394
H -4.077 1.976 -0.209
H -3.360 1.506 1.402
H -2.631 2.844 0.415
C -2.764 -0.924 -0.187
H -2.873 -1.050 0.903
H -3.735 -1.019 -0.691
H -2.065 -1.692 -0.548
O 0.823 1.201 7.636
N 1.253 1.862 6.667
O 2.098 2.771 6.792
C 0.772 1.540 5.349
C -0.179 0.515 5.203
C -0.668 0.228 3.944
C -0.097 0.835 2.772
O -0.312 0.258 1.630
C 0.795 1.954 2.967
C 1.253 2.261 4.248
N 1.334 2.730 1.877
O 2.318 3.455 2.086
O 0.774 2.701 0.713
N -1.751 -0.743 3.744
O -1.713 -1.800 4.387
O -2.693 -0.414 2.994
H -0.537 -0.039 6.070
H 1.983 3.057 4.372
*
```

Löwdin atomic charge list, values in e, 8 entries: 0.5118, 0.8907, -0.2219, -0.2689, -0.0367, -0.2894, 0.0270, 0.0196

***

Entry 2:
# C4H28NO11S

A cluster of 10 separate species, C4H28NO11S in total in a non-equilibrium geometry (ωB97M-V/def2-TZVPD, the Open Molecules 2025 dataset).

Values from the calculation:
**ΔE to the lowest compared entry with this formula, charge and spin**: 0.0 kcal per mole
**E_LUMO**: -2.42 eV
**HOMO-LUMO gap**: 9.48 eV

ORCA input file:
```
! RIJCOSX wB97M-V def2-TZVPD def2/J DEFGRID3
* xyz 1 1
O -0.613 -2.494 1.617
C -0.095 -1.495 1.229
O 1.204 -1.216 1.420
C -0.562 -0.398 0.284
C -1.187 0.690 1.138
C -1.889 1.852 0.438
S -3.270 1.123 -0.515
N 0.571 0.204 -0.495
H 1.695 -1.287 2.266
H -1.205 -0.762 -0.516
H -0.513 1.061 1.911
H -1.908 0.170 1.773
H -2.267 2.506 1.220
H -1.237 2.422 -0.223
H -3.954 2.257 -0.745
H 1.163 0.805 0.068
H 0.337 0.638 -1.397
H 1.157 -0.604 -0.773
H 3.362 -1.100 3.885
H 3.456 0.232 3.082
O 2.858 -0.464 3.367
H -1.815 -1.041 -2.949
H -1.817 -2.599 -2.697
O -1.271 -1.827 -2.877
H 2.445 3.091 -0.705
H 2.295 2.821 -2.155
O 2.093 2.417 -1.303
H -3.646 -2.259 -0.750
H -4.448 -2.023 -2.185
O -3.648 -2.226 -1.706